Excerpt:
<<<
[1]
# GGA-PBE Lu3Ga8Rh3, relaxed
data_Lu3Ga8Rh3
_cell_length_a 8.1318
_cell_length_b 8.1318
_cell_length_c 8.1318
_cell_angle_alpha 150.48
_cell_angle_beta 106.48
_cell_angle_gamma 81.15
_symmetry_space_group_name_H-M 'P 1'
_symmetry_Int_Tables_number 1
loop_
_symmetry_equiv_pos_as_xyz
'x,y,z'
loop_
_atom_site_label
_atom_site_type_symbol
_atom_site_fract_x
_atom_site_fract_y
_atom_site_fract_z
Ga1 Ga 0.1970 0.8266 0.3703
Ga2 Ga 0.9065 0.6229 0.2836
Ga3 Ga 0.3394 0.6229 0.7164
Ga4 Ga 0.4563 0.8266 0.6297
Ga5 Ga 0.6606 0.3771 0.2836
Ga6 Ga 0.8030 0.1734 0.6297
Ga7 Ga 0.5437 0.1734 0.3703
Ga8 Ga 0.0935 0.3771 0.7164
Lu1 Lu 0.1653 0.1653 0.0000
Lu2 Lu 0.5000 0.5000 0.0000
Lu3 Lu 0.8347 0.8347 0.0000
Rh1 Rh 0.0000 0.5000 0.5000
Rh2 Rh 0.2281 0.0000 0.2281
Rh3 Rh 0.7719 0.0000 0.7719
# volume	17.79	A^3/atom
# energy of formation	-0.6855	eV/atom
# DOS at the Fermi energy	6.76	states/eV/cell

[2]
# GGA-PBE LuGaRh, relaxed
data_LuGaRh
_cell_length_a 4.4494
_cell_length_b 4.4494
_cell_length_c 4.4494
_cell_angle_alpha 60.00
_cell_angle_beta 60.00
_cell_angle_gamma 60.00
_symmetry_space_group_name_H-M 'P 1'
_symmetry_Int_Tables_number 1
loop_
_symmetry_equiv_pos_as_xyz
'x,y,z'
loop_
_atom_site_label
_atom_site_type_symbol
_atom_site_fract_x
_atom_site_fract_y
_atom_site_fract_z
Rh1 Rh 0.2500 0.2500 0.2500
Lu1 Lu 0.0000 0.0000 0.0000
Ga1 Ga 0.5000 0.5000 0.5000
# volume	20.76	A^3/atom
# energy of formation	-0.7175	eV/atom
# DOS at the Fermi energy	0.80	states/eV/cell

[3]
# GGA-PBE LuGaRh, relaxed
data_LuGaRh
_cell_length_a 3.3332
_cell_length_b 3.3332
_cell_length_c 5.4353
_cell_angle_alpha 107.86
_cell_angle_beta 107.86
_cell_angle_gamma 90.00
_symmetry_space_group_name_H-M 'P 1'
_symmetry_Int_Tables_number 1
loop_
_symmetry_equiv_pos_as_xyz
'x,y,z'
loop_
_atom_site_label
_atom_site_type_symbol
_atom_site_fract_x
_atom_site_fract_y
_atom_site_fract_z
Lu1 Lu 0.6098 0.6098 0.2197
Rh1 Rh 0.9320 0.9320 0.8639
Ga1 Ga 0.3082 0.3082 0.6164
# volume	18.14	A^3/atom
# energy of formation	-0.7466	eV/atom
# DOS at the Fermi energy	1.54	states/eV/cell

[4]
# GGA-PBE LuGaRuRh, relaxed
data_LuGaRuRh
_cell_length_a 4.5014
_cell_length_b 4.5014
_cell_length_c 4.5014
_cell_angle_alpha 60.00
_cell_angle_beta 60.00
_cell_angle_gamma 60.00
_symmetry_space_group_name_H-M 'P 1'
_symmetry_Int_Tables_number 1
loop_
_symmetry_equiv_pos_as_xyz
'x,y,z'
loop_
_atom_site_label
_atom_site_type_symbol
_atom_site_fract_x
_atom_site_fract_y
_atom_site_fract_z
Lu1 Lu 0.5000 0.5000 0.5000
Ru1 Ru 0.7500 0.7500 0.7500
Ga1 Ga 0.0000 0.0000 0.0000
Rh1 Rh 0.2500 0.2500 0.2500
# volume	16.12	A^3/atom
# energy of formation	-0.6421	eV/atom
# DOS at the Fermi energy	3.09	states/eV/cell

[5]
# GGA-PBE LuScGaRh, relaxed
data_LuScGaRh
_cell_length_a 4.7645
_cell_length_b 4.7645
_cell_length_c 4.7645
_cell_angle_alpha 60.00
_cell_angle_beta 60.00
_cell_angle_gamma 60.00
_symmetry_space_group_name_H-M 'P 1'
_symmetry_Int_Tables_number 1
loop_
_symmetry_equiv_pos_as_xyz
'x,y,z'
loop_
_atom_site_label
_atom_site_type_symbol
_atom_site_fract_x
_atom_site_fract_y
_atom_site_fract_z
Lu1 Lu 0.0000 0.0000 0.0000
Sc1 Sc 0.5000 0.5000 0.5000
Rh1 Rh 0.7500 0.7500 0.7500
Ga1 Ga 0.2500 0.2500 0.2500
# volume	19.12	A^3/atom
# energy of formation	-0.7489	eV/atom
# DOS at the Fermi energy	2.04	states/eV/cell

[6]
# GGA-PBE TbLuGaRh, relaxed
data_TbLuGaRh
_cell_length_a 4.9215
_cell_length_b 4.9215
_cell_length_c 4.9215
_cell_angle_alpha 60.00
_cell_angle_beta 60.00
_cell_angle_gamma 60.00
_symmetry_space_group_name_H-M 'P 1'
_symmetry_Int_Tables_number 1
loop_
_symmetry_equiv_pos_as_xyz
'x,y,z'
loop_
_atom_site_label
_atom_site_type_symbol
_atom_site_fract_x
_atom_site_fract_y
_atom_site_fract_z
Ga1 Ga 0.5000 0.5000 0.5000
Rh1 Rh 0.0000 0.0000 0.0000
Tb1 Tb 0.7500 0.7500 0.7500
Lu1 Lu 0.2500 0.2500 0.2500
# volume	21.07	A^3/atom
# energy of formation	-0.7047	eV/atom
# DOS at the Fermi energy	1.84	states/eV/cell

[7]
# GGA-PBE LuTiGaRh, relaxed
data_LuTiGaRh
_cell_length_a 4.6569
>>>

To do:
Work out how many lines further up have the word "data_TbLuGaRh" in them; a number is enough.

Outcome:
1